Your job: restate the whole of the calculation results underneath unchanged.

/*
15
Properties=species:S:1:pos:R:3:forces:R:3 method="wB97M-V/def2-TZVPD" e_above_lowest_kj_mol=0.00 energy_ha=-1045.21140 homo_lumo_gap_ev=9.5099 charge=+1 smiles="[NH3+][C@H](C=O)CSS" lumo_energy_ev=-3.78
S 1.060 -0.429 1.326 -0.03 0.03 0.09
S -0.609 0.286 2.280 -0.05 -0.30 -0.36
O -1.778 -0.154 -1.893 -0.09 0.02 -0.07
N 0.612 0.324 -2.702 0.17 0.18 -0.46
C -0.970 -0.651 -1.160 0.09 -0.04 0.14
C 1.132 0.493 -0.255 -0.32 -0.52 0.13
C 0.514 -0.366 -1.363 -0.12 0.00 -0.10
H 0.300 -0.256 -3.496 0.08 -0.01 0.42
H -1.220 -1.326 -0.330 -0.09 0.07 -0.03
H 1.058 -1.304 -1.453 0.04 -0.09 0.03
H 0.613 1.452 -0.161 0.29 -0.07 0.02
H 0.018 1.258 2.933 0.09 0.35 0.24
H 2.202 0.592 -0.425 0.06 0.39 -0.19
H 1.572 0.625 -2.885 -0.02 -0.01 -0.01
H 0.004 1.147 -2.731 -0.11 0.01 0.16
*/

15
Properties=species:S:1:pos:R:3:forces:R:3 method="wB97M-V/def2-TZVPD" e_above_lowest_kj_mol=0.00 energy_ha=-1045.21140 homo_lumo_gap_ev=9.5099 charge=+1 smiles="[NH3+][C@H](C=O)CSS" lumo_energy_ev=-3.78
S 1.060 -0.429 1.326 -0.03 0.03 0.09
S -0.609 0.286 2.280 -0.05 -0.30 -0.36
O -1.778 -0.154 -1.893 -0.09 0.02 -0.07
N 0.612 0.324 -2.702 0.17 0.18 -0.46
C -0.970 -0.651 -1.160 0.09 -0.04 0.14
C 1.132 0.493 -0.255 -0.32 -0.52 0.13
C 0.514 -0.366 -1.363 -0.12 0.00 -0.10
H 0.300 -0.256 -3.496 0.08 -0.01 0.42
H -1.220 -1.326 -0.330 -0.09 0.07 -0.03
H 1.058 -1.304 -1.453 0.04 -0.09 0.03
H 0.613 1.452 -0.161 0.29 -0.07 0.02
H 0.018 1.258 2.933 0.09 0.35 0.24
H 2.202 0.592 -0.425 0.06 0.39 -0.19
H 1.572 0.625 -2.885 -0.02 -0.01 -0.01
H 0.004 1.147 -2.731 -0.11 0.01 0.16